Corporate Secretarial – Foreigner And Company Law

Malaysia is among the country with a liberal foreign investment policy. Generally speaking, there is very minimal restriction on the foreign ownership of a company, save and except for a company trading in an industry where the Malaysia’s public interest is at stake such as energy, water, education, petroleum etc.
Under the Malaysian corporate landscape, if a foreigner wishes to start a company (Also see How tax benefit the foreigners to invest in Malaysia), he has two choices: register his business vehicle as a foreign company in Malaysia or incorporate a private company limited by shares in Malaysia.
Foreign Company
Under the Companies Act 1965, a foreign company is defined as a company incorporated outside Malaysia or an unincorporated body, association or other with legal personality which does not have its head office or principal place of business in Malaysia. Having defined as such, it goes without saying that unless the Companies Act 1965 stated otherwise, most of its provisions is not applicable to a foreign company.
Attached: calculated crystals.
-- begin --
Computed XRD peak list
Compound: Ho3CdPd3
Radiation: Cu Kα, 1.54184 Å
Structure: DFT lattice parameters and positions (GGA-PBE)

Largest 8 diffraction maxima, low angle first, 2θ = 10–90°:
2theta, intensity, hkl
27.65, 19, 1 1 1
32.79, 33, 1 2 0
35.26, 36, 0 0 2
37.37, 100, 1 2 1
48.90, 28, 1 2 2
58.57, 25, 4 1 0
64.66, 19, 1 2 3
70.21, 13, 4 1 2

Atomic structure:
```
data_Ho3CdPd3
_cell_length_a 8.3429
_cell_length_b 8.3429
_cell_length_c 5.0915
_cell_angle_alpha 90.00
_cell_angle_beta 90.00
_cell_angle_gamma 120.00
_symmetry_space_group_name_H-M 'P 1'
_symmetry_Int_Tables_number 1
loop_
_symmetry_equiv_pos_as_xyz
'x,y,z'
loop_
_atom_site_label
_atom_site_type_symbol
_atom_site_fract_x
_atom_site_fract_y
_atom_site_fract_z
Ho1 Ho 0.0848 0.6709 0.2500
Ho2 Ho 0.3291 0.4138 0.2500
Ho3 Ho 0.4138 0.0848 0.7500
Ho4 Ho 0.5862 0.9152 0.2500
Ho5 Ho 0.6709 0.5862 0.7500
Ho6 Ho 0.9152 0.3291 0.7500
Cd1 Cd 0.3333 0.6667 0.7500
Cd2 Cd 0.6667 0.3333 0.2500
Pd1 Pd 0.0436 0.8217 0.7500
Pd2 Pd 0.1783 0.2219 0.7500
Pd3 Pd 0.2219 0.0436 0.2500
Pd4 Pd 0.7781 0.9564 0.7500
Pd5 Pd 0.8217 0.7781 0.2500
Pd6 Pd 0.9564 0.1783 0.2500
```

=====

Record 1
# Y3CoPb
Calculated powder X-ray diffraction pattern, Cu Kα (λ = 1.5418 Å). Input: a GGA-PBE-relaxed structure.

Cell and atoms:
```
data_Y3CoPb
_chemical_formula_sum 'Y24 Co8 Pb8'
_symmetry_space_group_name_H-M 'C m c e'
_symmetry_Int_Tables_number 64
_symmetry_space_group_name_Hall '-C 2ac 2'
_cell_length_a 10.4208
_cell_length_b 15.8198
_cell_length_c 6.5007
_cell_angle_alpha 90.00
_cell_angle_beta 90.00
_cell_angle_gamma 90.00
loop_
_atom_site_label
_atom_site_fract_x
_atom_site_fract_y
_atom_site_fract_z
Y1 0.0000 0.0564 0.2505
Y2 0.0000 0.2498 0.9997
Y3 0.2500 0.1089 0.7500
Co1 0.0000 0.1063 0.7475
Pb1 0.2500 0.1707 0.2500
```

Peak list (10 most intense, 10° ≤ 2θ ≤ 90°, by angle)
2θ = 11.19°, intensity 23.2; 2θ = 27.44°, intensity 40.2; 2θ = 28.33°, intensity 27.2; 2θ = 31.56°, intensity 70.4; 2θ = 32.47°, intensity 22.0; 2θ = 34.43°, intensity 100.0; 2θ = 35.76°, intensity 28.1; 2θ = 38.26°, intensity 28.4; 2θ = 44.57°, intensity 21.6; 2θ = 51.20°, intensity 29.9

---

Record 2
# Be3B12W
Calculated powder X-ray diffraction pattern, Cu Kα (λ = 1.5418 Å). Input: a GGA-PBE-relaxed structure.

Cell and atoms:
```
data_Be3B12W
_chemical_formula_sum 'Be18 B72 W6'
_symmetry_space_group_name_H-M 'R 3 c'
_symmetry_Int_Tables_number 161
_symmetry_space_group_name_Hall 'R 3 -2"c'
_cell_length_a 11.9390
_cell_length_b 11.9390
_cell_length_c 6.6675
_cell_angle_alpha 90.00
_cell_angle_beta 90.00
_cell_angle_gamma 120.00
loop_
_atom_site_label
_atom_site_fract_x
_atom_site_fract_y
_atom_site_fract_z
Be1 0.0531 0.3367 0.0000
B1 0.0925 0.2048 0.0614
B2 0.1076 0.3392 0.5000
B3 0.1339 0.4386 0.2847
B4 0.1862 0.4597 0.6775
W1 0.0000 0.0000 0.1252
```

Peak list (10 most intense, 10° ≤ 2θ ≤ 90°, by angle)
-- stop --
The Companies Act 1965 imposes an obligation on foreign company that is carrying its business to register with the Companies Commission of Malaysia. Otherwise, the individual carrying the business of the foreign company may be liable under the Malaysian taxation law. However, please note that only foreign company carrying a business in Malaysia is obliged to register.
_Someone pasted data records at this point_
- - -
[1]
Computed X-ray powder pattern
Compound: Ti6FeBi9O27
Radiation: Cu Kα
Structure: the PBE+U geometry in the Materials Project

Cell: 5.7070 6.0954 19.8005 Å, 90.00 90.00 90.00°
Positions (direct):
Ti: 0.0000 0.0000 0.0000
Ti: 0.0000 0.0000 0.2444
Ti: 0.0000 0.5000 0.3932
Ti: 0.0000 0.5000 0.6636
Ti: 0.5000 0.0000 0.2628
Ti: 0.5000 0.5000 0.9914
Fe: 0.5000 0.0000 0.6425
Bi: 0.0000 0.0000 0.4742
Bi: 0.0000 0.0000 0.6927
Bi: 0.0000 0.5000 0.0674
Bi: 0.0000 0.5000 0.8657
Bi: 0.5000 0.0000 0.0692
Bi: 0.5000 0.0000 0.8501
Bi: 0.5000 0.5000 0.2220
Bi: 0.5000 0.5000 0.4491
Bi: 0.5000 0.5000 0.7179
O: 0.0000 0.0000 0.0928
O: 0.0000 0.0000 0.3301
O: 0.0000 0.0000 0.5837
O: 0.0000 0.0000 0.8338
O: 0.0000 0.0000 0.9064
O: 0.0000 0.5000 0.7573
O: 0.2123 0.2849 0.4264
O: 0.2123 0.7151 0.4264
O: 0.2495 0.2537 0.0040
O: 0.2495 0.7463 0.0040
O: 0.2528 0.2819 0.6593
O: 0.2528 0.7181 0.6593
O: 0.2693 0.1979 0.2294
O: 0.2693 0.8021 0.2294
O: 0.5000 0.0000 0.7463
O: 0.5000 0.5000 0.0922
O: 0.5000 0.5000 0.3321
O: 0.5000 0.5000 0.5497
O: 0.5000 0.5000 0.8967
O: 0.7307 0.1979 0.2294
O: 0.7307 0.8021 0.2294
O: 0.7472 0.2819 0.6593
O: 0.7472 0.7181 0.6593
O: 0.7505 0.2537 0.0040
O: 0.7505 0.7463 0.0040
O: 0.7877 0.2849 0.4264
O: 0.7877 0.7151 0.4264

Peak list (6 most intense, 15 to 90 degrees two-theta, by angle)
| 2θ/deg | I/Imax |
| --- | --- |
| 21.80 | 53 |
| 22.45 | 36 |
| 27.99 | 100 |
| 29.30 | 38 |
| 31.35 | 33 |
| 43.44 | 40 |

[2]
Computed X-ray powder pattern
Compound: TiFeBi2O6
Radiation: Cu Kα
Structure: the PBE+U geometry in the Materials Project

Cell: 5.9244 6.1580 7.0244 Å, 115.31 92.10 115.27°
Positions (direct):
Ti: 0.0000 0.0000 0.0000
Fe: 0.6667 0.3453 0.9949
Bi: 0.2728 0.6614 0.6291
Bi: 0.8336 0.1093 0.5254
O: 0.0502 0.8892 0.4629
O: 0.0566 0.2388 0.2859
O: 0.3262 0.0499 0.9543
O: 0.7815 0.6637 0.9607
O: 0.8415 0.1229 0.8616
O: 0.9344 0.6923 0.5492

Peak list (6 most intense, 15 to 90 degrees two-theta, by angle)
| 2θ/deg | I/Imax |
| --- | --- |
| 17.93 | 49 |
| 20.16 | 100 |
| 25.75 | 42 |
| 27.61 | 29 |
| 29.20 | 32 |
| 30.86 | 40 |

[3]
Computed X-ray powder pattern
Compound: Ti3FeBi5O15
Radiation: Cu Kα
Structure: the PBE+U geometry in the Materials Project

Cell: 5.4861 5.5344 20.9611 Å, 90.00 97.52 90.00°
Positions (direct):
Ti: 0.0978 0.0000 0.1958
Ti: 0.1945 0.0065 0.4032
Ti: 0.4010 0.9967 0.8033
Ti: 0.5990 0.4967 0.1967
Ti: 0.8055 0.5065 0.5968
Ti: 0.9022 0.5000 0.8042
Fe: 0.2941 0.0082 0.5964
Fe: 0.7059 0.5082 0.4036
Bi: 0.0050 0.4410 0.0616
Bi: 0.1530 0.4532 0.2950
Bi: 0.2602 0.4664 0.4970
Bi: 0.3571 0.4482 0.7063
Bi: 0.4439 0.4391 0.9382
Bi: 0.5561 0.9391 0.0618
Bi: 0.6429 0.9482 0.2937
Bi: 0.7398 0.9664 0.5030
Bi: 0.8470 0.9532 0.7050
Bi: 0.9950 0.9410 0.9384
O: 0.0027 0.5084 0.8880
O: 0.0089 0.3298 0.3932
O: 0.1011 0.3289 0.6084
O: 0.1191 0.2511 0.7748
O: 0.1551 0.7498 0.7758
O: 0.1636 0.0507 0.4989
O: 0.2245 0.0444 0.3111
O: 0.2435 0.2115 0.0013
O: 0.2577 0.7114 0.0013
O: 0.3181 0.2982 0.2040
O: 0.3843 0.0110 0.8874
- - -
_The text goes on_
A foreign company is deemed as carrying a business in Malaysia if it has a place of business in Malaysia. A place of business does not necessarily mean business premises. There are case laws to say that a foreign company is deemed as carrying business in Malaysia when its director has been visiting the country for 9 consecutive years and transacted business from the same hotel every year.
Therefore, be advised that if you are conducting transaction on behalf of your company in Malaysia and the above sounds relatable to you; you may have an obligation to register your business as foreign company.
Private Companies Limited By Shares
(Next to the text, the page also holds records of crystals)
Starting from a cell relaxed with PBE+U, the XRD peak list of Ca4Al6WO16 was calculated for a wavelength of 1.5418 Å.
Lines closer than 0.1° are merged.

Main lines, sorted by position (10 to 90 degrees two-theta):
Position (°2θ), I/Imax, index
13.25, 27, 1 0 1
22.96, 51, 1 1 2
23.22, 100, 2 1 1
26.68, 27, 2 0 2
35.42, 15, 1 2 3
35.71, 15, 3 1 2
38.52, 13, 4 0 0
40.49, 12, 3 0 3
40.92, 14, 3 3 0
45.08, 14, 3 2 3
47.47, 13, 2 4 2
54.95, 11, 4 0 4

Structure:
Lattice parameters (Å, degrees): 9.348 9.348 9.560 90.00 90.00 90.00
Space group I-4 (No. 82)
One atom of each set of equivalent atoms:
Ca: 0.215 0.250 0.266
Al: 0.000 0.500 0.250
Al: 0.000 0.500 0.750
Al: 0.015 0.252 0.994
W: 0.000 0.000 0.500
O: 0.016 0.657 0.152
O: 0.026 0.156 0.390
O: 0.067 0.349 0.844
O: 0.149 0.834 0.958
Under the Companies Act 1965, there is no specific limitation imposed on the shareholding right of a foreigner in a private company limited by shares. This means, that foreigners can have 100% equity of a locally registered private company limited by shares (Also see Quick Guide to starting foreign-owned company in Malaysia).
Under the Companies Act, only two shareholders are required in order to incorporate a company in Johor Bahru. There is no requirement for the two shareholders to be a Malaysian citizen. However, the Act provides statutory requirement of having at least 1 director having residence in Malaysia.
At a glance, it seems that incorporating a local private company limited by shares would be the easier way to do business in Malaysia. While that may not be entirely wrong, this is not without its difficulties.
For example, a company registered under the Act is given a legal personality (See Company’s Legal Personality) and is considered as a Malaysian even though its beneficial owner is actually foreigners. However, as Malaysia applies the common law as part of its extensive legal system, the principle of lifting the corporate veils is also applicable.
This means it is possible to look beyond the legal personality of the company and considered the identity of its controller as the real identity of the company. In such case, it would invite great risk to the company’s power to hold interests and properties, especially lands.
Under the Malaysian laws, lands fall under the jurisdiction of the State Government. Each State in Malaysia has different policies and approach in relation to the ownership of the land by foreigners.
Therefore, taking the easy way out of incorporating a local company limited by shares may prove wasteful if it is done without proper planning and consultation with the relevant experts. Imagine, having incurred substantial costs to incorporate a company limited by shares only to find out that it is not able to carry out the business that you intended.
Hence, it is advisable for you to first consult the corporate secretary in Johor Bahru to help you decide which method is more suitable for your intended business. Knowing what your business entity can and cannot do would help you to make a calculated business risk and thus, reducing the risk of devastating loss.